(File)
A relaxed structure of Fe3SiNi, computed with GGA-PBE.

- Crystal system: cubic
- Formation enthalpy at 0 K: -24.9 kJ per mole of atoms
- E_tot: -151.61 eV per cell
- Theoretical density: 7.4 g/cm³

Unit cell a=6.110 b=6.110 c=6.110 alpha=90.00 beta=90.00 gamma=90.00
Space group P2_13 (No. 198)
Inequivalent atoms, fractional coordinates:
Fe: 0.046 0.122 0.794 x12
Si: 0.065 0.935 0.435 x4
Ni: 0.185 0.185 0.185 x4

A relaxed structure of Na5Nb3Si6GeO24, computed with GGA-PBE.

- Crystal system: triclinic
- Formation enthalpy at 0 K: -279.4 kJ per mole of atoms
- E_tot: -867.82 eV per cell
- Theoretical density: 3.3 g/cm³

Unit cell a=8.938 b=8.959 c=22.413 alpha=89.73 beta=89.91 gamma=60.14
Space group P1 (No. 1)
Inequivalent atoms, fractional coordinates:
Na: 0.000 0.000 0.000 x1
Na: 0.001 0.632 0.747 x1
Na: 0.005 0.366 0.246 x1
Na: 0.012 0.992 0.496 x1
Na: 0.032 0.670 0.412 x1
Na: 0.300 0.666 0.918 x1
Na: 0.334 0.334 0.328 x1
Na: 0.345 0.325 0.831 x1
Na: 0.364 0.005 0.746 x1
Na: 0.632 0.001 0.246 x1
Na: 0.653 0.676 0.165 x1
Na: 0.656 0.665 0.665 x1
Na: 0.668 0.298 0.413 x1
Na: 0.700 0.334 0.085 x1
Na: 0.965 0.333 0.584 x1
Nb: 0.000 0.996 0.642 x1
Nb: 0.008 0.994 0.144 x1
Nb: 0.332 0.329 0.978 x1
Nb: 0.335 0.330 0.478 x1
Nb: 0.661 0.671 0.521 x1
Nb: 0.664 0.667 0.310 x1
Nb: 0.667 0.664 0.811 x1
Nb: 0.668 0.671 0.024 x1
Nb: 0.994 0.005 0.854 x1
Si: 0.004 0.290 0.746 x1
Si: 0.014 0.707 0.252 x1
Si: 0.051 0.335 0.088 x1
Si: 0.052 0.616 0.585 x1
Si: 0.283 0.006 0.251 x1
Si: 0.291 0.701 0.748 x1
Si: 0.331 0.615 0.085 x1
Si: 0.340 0.047 0.587 x1
Si: 0.368 0.680 0.415 x1
Si: 0.380 0.957 0.915 x1
Si: 0.613 0.050 0.088 x1
Si: 0.613 0.335 0.585 x1
Si: 0.671 0.375 0.919 x1
Si: 0.671 0.956 0.414 x1
Si: 0.701 0.013 0.748 x1
Si: 0.708 0.284 0.250 x1
Si: 0.955 0.667 0.916 x1
Si: 0.958 0.368 0.415 x1
Ge: 0.003 0.000 0.352 x1
Ge: 0.334 0.336 0.188 x1
Ge: 0.337 0.333 0.687 x1
O: 0.022 0.167 0.089 x1
O: 0.031 0.807 0.589 x1
O: 0.034 0.797 0.312 x1
O: 0.035 0.161 0.803 x1
O: 0.135 0.493 0.644 x1
O: 0.137 0.360 0.148 x1
O: 0.144 0.359 0.421 x1
O: 0.148 0.498 0.920 x1
O: 0.154 0.042 0.308 x1
O: 0.162 0.806 0.090 x1
O: 0.163 0.033 0.588 x1
O: 0.163 0.530 0.523 x1
O: 0.165 0.312 0.027 x1
O: 0.171 0.792 0.808 x1
O: 0.177 0.309 0.744 x1
O: 0.177 0.847 0.409 x1
O: 0.178 0.513 0.244 x1
O: 0.193 0.966 0.909 x1
O: 0.195 0.836 0.693 x1
O: 0.196 0.975 0.192 x1
O: 0.301 0.516 0.742 x1
O: 0.306 0.177 0.246 x1
O: 0.307 0.534 0.022 x1
O: 0.309 0.170 0.528 x1
O: 0.355 0.503 0.421 x1
O: 0.360 0.145 0.922 x1
O: 0.363 0.133 0.647 x1
O: 0.372 0.486 0.141 x1
O: 0.468 0.698 0.474 x1
O: 0.474 0.829 0.972 x1
O: 0.478 0.692 0.754 x1
O: 0.479 0.836 0.255 x1
O: 0.493 0.364 0.643 x1
O: 0.493 0.867 0.855 x1
O: 0.495 0.364 0.921 x1
O: 0.501 0.132 0.148 x1
O: 0.501 0.640 0.359 x1
O: 0.503 0.149 0.421 x1
O: 0.505 0.634 0.079 x1
O: 0.508 0.857 0.578 x1
O: 0.509 0.179 0.744 x1
O: 0.517 0.301 0.244 x1
O: 0.524 0.172 0.028 x1
O: 0.531 0.311 0.523 x1
O: 0.636 0.858 0.078 x1
O: 0.643 0.502 0.578 x1
O: 0.643 0.502 0.861 x1
O: 0.643 0.867 0.355 x1
O: 0.688 0.836 0.753 x1
O: 0.695 0.463 0.979 x1
O: 0.697 0.473 0.256 x1
O: 0.702 0.828 0.471 x1
O: 0.796 0.161 0.310 x1
O: 0.802 0.030 0.806 x1
O: 0.803 0.035 0.090 x1
O: 0.810 0.166 0.588 x1
O: 0.831 0.202 0.191 x1
O: 0.832 0.973 0.691 x1
O: 0.835 0.689 0.974 x1
O: 0.836 0.461 0.474 x1
O: 0.836 0.483 0.754 x1
O: 0.836 0.690 0.255 x1
O: 0.842 0.187 0.910 x1
O: 0.846 0.972 0.410 x1
O: 0.855 0.503 0.081 x1
O: 0.862 0.631 0.577 x1
O: 0.864 0.646 0.855 x1
O: 0.867 0.496 0.357 x1
O: 0.966 0.183 0.408 x1
O: 0.970 0.837 0.195 x1
O: 0.974 0.203 0.687 x1
O: 0.978 0.836 0.911 x1

A relaxed structure of Rb2TlGaF6, computed with GGA-PBE.

- Crystal system: cubic
- Formation enthalpy at 0 K: -273.6 kJ per mole of atoms
- E_tot: -177.70 eV per cell
- Theoretical density: 4.8 g/cm³

Unit cell a=9.191 b=9.191 c=9.191 alpha=90.00 beta=90.00 gamma=90.00
Space group Fm-3m (No. 225)
Inequivalent atoms, fractional coordinates:
Rb: 0.250 0.250 0.250 x8

(Wanted)
Your job: reproduce every line further above that contains the word "alpha".

(Solution)
Unit cell a=6.110 b=6.110 c=6.110 alpha=90.00 beta=90.00 gamma=90.00
Unit cell a=8.938 b=8.959 c=22.413 alpha=89.73 beta=89.91 gamma=60.14
Unit cell a=9.191 b=9.191 c=9.191 alpha=90.00 beta=90.00 gamma=90.00